# File
~~~
(1)
A structure of composition C18H33N6O6S2 at a distorted geometry. Source: the OMol25 dataset; level of theory: ωB97M-V with the def2-TZVPD basis set.

XYZ file:
```
65
Properties=species:S:1:pos:R:3:forces:R:3:nbo_charge:R:1
N 3.443724 -0.492370 -0.830520 -8.255 -1.335 3.690 -0.79
S 2.090606 0.178825 -1.796982 -1.649 0.333 -1.849 2.30
O 1.695324 -0.865405 -2.747407 0.057 0.196 1.545 -0.97
O 2.660629 1.313006 -2.507110 -0.090 -0.582 1.638 -0.92
N 0.932710 0.557807 -0.663521 0.229 -0.114 -2.092 -1.17
S -0.328716 1.435705 -1.309102 0.162 3.413 1.911 2.22
O 0.039875 2.573035 -2.150281 0.214 -1.894 -0.414 -0.94
O -1.097832 1.958442 -0.165487 0.471 -1.913 -0.786 -0.96
C -1.511290 0.403006 -2.262502 -0.956 -0.551 0.461 -0.78
C -2.577536 -0.119778 -1.229871 0.725 -0.361 0.241 0.81
O -3.681172 0.312754 -1.153765 -0.058 0.455 -0.295 -0.56
O -2.197198 -1.109354 -0.324702 0.158 0.269 -1.642 -0.69
H 3.398192 0.084250 0.030276 0.634 -0.360 -0.155 0.41
H 3.253835 -1.491393 -0.614150 -0.471 0.717 0.196 0.41
H -2.069822 1.109254 -2.926614 0.705 -0.549 0.592 0.28
H -1.041694 -0.414355 -2.855205 -0.037 0.650 0.526 0.26
H -1.614699 -1.703207 -0.830535 0.262 0.239 0.581 0.48
C 7.349221 -1.742267 -4.112115 0.155 -0.052 0.081 -0.61
C 6.261074 -2.802481 -3.979595 0.263 0.153 -0.172 -0.38
C 4.847364 -2.210537 -3.957761 -0.573 -0.138 1.209 -0.48
C 4.700916 -1.287704 -2.804127 -0.842 0.436 1.000 0.13
N 4.580357 -0.539814 -1.851651 9.036 0.698 -5.890 -0.46
H 7.349267 -1.059370 -3.261443 -0.114 0.013 -0.064 0.24
H 8.335688 -2.212479 -4.152786 -0.025 0.009 -0.073 0.19
H 7.214624 -1.155052 -5.024761 -0.002 0.001 0.045 0.19
H 6.434812 -3.376594 -3.064554 -0.103 -0.009 -0.038 0.19
H 6.340920 -3.501968 -4.818509 -0.108 -0.047 0.051 0.19
H 4.106345 -3.017336 -3.879904 0.038 -0.122 -0.394 0.20
H 4.648368 -1.657361 -4.878293 -0.026 0.104 0.117 0.24
C 6.386489 4.148169 0.482540 0.014 0.099 -0.025 -0.61
C 5.211179 3.615826 -0.331582 0.130 0.238 0.191 -0.38
C 5.058982 2.096994 -0.237017 0.458 -0.245 -0.728 -0.52
C 6.309002 1.432283 -0.752336 -1.662 0.410 0.590 0.33
N 7.288162 0.962030 -1.109260 0.698 -0.063 -0.129 -0.38
H 7.337730 3.752389 0.120636 -0.057 -0.065 0.033 0.22
H 6.438330 5.236546 0.408407 -0.014 -0.026 0.054 0.21
H 6.283653 3.884289 1.538750 0.031 0.012 -0.029 0.20
H 5.341216 3.907948 -1.376269 -0.109 -0.121 0.010 0.21
H 4.290952 4.087230 0.021540 -0.043 -0.117 -0.080 0.21
H 4.179631 1.771918 -0.824731 0.773 0.259 0.041 0.28
H 4.897961 1.787840 0.800501 0.162 0.017 0.002 0.22
C -6.293853 -0.740951 0.286525 -0.019 0.185 -0.054 -0.63
C -7.221364 0.045015 1.206066 0.192 -0.070 -0.217 -0.38
C -8.205080 -0.846928 1.968104 -0.343 0.016 -0.849 -0.51
C -9.073587 -1.584626 1.014556 0.608 0.555 0.945 0.31
N -9.741237 -2.152421 0.280023 -0.379 -0.311 -0.440 -0.37
H -6.850447 -1.264480 -0.494593 -0.046 -0.041 0.093 0.20
H -5.592727 -0.069485 -0.208913 -0.050 -0.180 0.130 0.26
H -5.715978 -1.478502 0.850726 0.010 0.017 -0.043 0.19
H -7.771522 0.779731 0.611490 -0.029 0.002 0.109 0.20
H -6.617549 0.602010 1.927282 -0.117 -0.022 0.065 0.21
H -8.833060 -0.240925 2.622132 -0.041 -0.193 0.046 0.25
H -7.667770 -1.561267 2.584128 -0.170 -0.050 -0.124 0.26
C -3.910329 0.581909 4.368332 0.038 -0.005 -0.014 -0.62
C -3.866819 -0.482987 5.459969 0.108 0.349 -0.086 -0.38
C -4.628982 -1.755992 5.080502 -0.377 0.322 0.070 -0.51
C -6.059462 -1.441752 4.840986 1.169 -0.516 0.180 0.32
N -7.160247 -1.194072 4.656388 -0.445 0.191 0.344 -0.37
H -4.931464 0.918279 4.175790 0.012 -0.066 -0.004 0.21
H -3.332015 1.456893 4.668326 0.008 -0.048 -0.056 0.22
H -3.491201 0.203211 3.432993 -0.019 0.065 0.017 0.22
H -4.281596 -0.065115 6.381413 0.004 -0.138 0.011 0.20
H -2.825050 -0.740781 5.664678 -0.076 -0.112 0.018 0.21
H -4.558739 -2.491776 5.883547 -0.123 -0.033 -0.078 0.25
H -4.206430 -2.199899 4.176633 -0.098 0.025 -0.012 0.25
```
Positions in Å, forces in eV/Å.

Computed properties:
Charge: -1
HOMO-LUMO gap: 5.2 eV
LUMO level: 2.16 eV
Maximum force: 0.2102 Eh/bohr
Multiplicity: 1
~~~

# Work order
Say how many lines of the contents above hold the word "bohr", as a bare number.

# Result
1